Disclaimer: I am not affiliated with the 'Mentalist' in any way and make no money from fanfiction. Thanks to Sue Shay for her help with earlier chapters. I'm rushing this one through ahead of Sunday's season 6 start in the US. No start date yet for us UK folks.
Thank you to everyone who has read, reviewed, followed or favourited. I really appreciate it. Particularly thank you to the guest reviewers and those without private messaging, whom I can't contact directly.
Here is the last chapter and epilogue.
Lisbon startled awake, unsure as to why. No light filtered round the curtain edges so not yet dawn. She sat up, ears keyed in to detect the slightest disturbance. No, there was no sound or other indication that anything was wrong, but her cop senses were still on alert.
Yawning as she swung her feet out of bed, Lisbon knew that there was nothing for it. She was going to check around her home. There would be no chance of sleeping if she didn't, and also there was the slight matter of Jane. He should be asleep on the couch but she would prefer to make sure. Given his insomnia, there was a good chance that he was awake and brooding.
Flicking on her bedside light, she ran her fingers through her sleep-tousled hair a few times, dragging it into order. Pulling on some sweatpants, she surveyed herself in the bedroom mirror. Sufficiently presentable. After shoving her feet into the pre-tied trainers, Lisbon lifted her Glock from the bedside drawer and checked that it was loaded.
Now to make sure all was well.
Pulling open her bedroom door, she led with the gun, checking the hallway to the left and then right. Nothing. Next the bathroom. A deep breath. Grabbing the handle, she pushed the door back smoothly and completely and flipped on the light. Clear. Lastly, the guest bedroom. Another sweep. Again, nothing of concern.
No signs of disturbance or anything untoward upstairs. So now for downstairs.
As she reached the top of the staircase, a soft light cut through the living room darkness. Her table lamp. It looked like Jane was awake. Quietly, she called out as she started down the stairs, gun still at the ready.
"Jane? That you?"
Jane's voice drifted back to her from the kitchen door. What was he doing? Making another drink?
"Yeah, just me," he confirmed. "Go back to sleep."
Holstering her revolver, Lisbon hurried across the room to join him. As she'd suspected, he was raiding some more of her tea supply. One china cup was already on the worktop and the kettle was heating up.
"Ah, Lisbon. Care to join me? It's lemon and ginger. Zingy and refreshing."
Much as she would have preferred coffee, Lisbon agreed. Perhaps sharing some of his beloved tea would help build a rapport with the man. And God knows she needed to. At least she could now put down the gun.
Jane took the boiling water and brewed each of the teas to perfection. Raiding the cookie jar, he set the two cups and saucers and some biscuits on a baking sheet. The flat metal doubled as a tray in Lisbon's kitchen. Returning to the living room, he set the tray down on the occasional table in front of the sofa, before handing one cup to Teresa whilst indicating that she should make herself comfortable.
"I'm sorry if I woke you."
(Calculated molecules that have nothing to do with the article)
........
A | C3H4Si | the ωB97M-V functional and the def2-TZVPD basis

As for the highest occupied orbital energy (alpha / beta): -8.473 / -8.490 eV. The value obtained for the LUMO energy (alpha / beta) is -0.937 / -1.727 eV. As for the frontier orbital gap (alpha / beta): 7.54 / 6.76 eV.

Last column: natural (NBO) charge in e.
Element x y z (Å)
C (-0.34, -0.23, 0.29)  -0.7973
C (0.82, -0.61, -0.66)  -0.2987
C (0.78, 0.59, -0.29)  0.0588
Si (-2.10, -0.14, -0.29)  0.8210
H (-0.22, -0.81, 1.33)  0.2051
H (1.43, -1.20, -1.25)  0.2412
H (2.18, 2.41, -0.33)  0.0566
H (-2.55, -0.03, 1.20)  -0.2867

B | C3H4Si | the ωB97M-V functional and the def2-TZVPD basis

As for the highest occupied orbital energy: -8.904 eV. The value obtained for the LUMO energy is -0.434 eV. As for the frontier orbital gap: 8.47 eV.

Last column: natural (NBO) charge in e.
Element x y z (Å)
C (-0.41, 0.80, 0.24)  -0.6947
C (-0.40, -0.78, 0.16)  -0.6541
C (0.67, -0.07, -0.58)  -0.4039
Si (-2.14, 0.07, -0.06)  0.9032
H (-0.25, 1.36, 1.10)  0.2173
H (-0.07, -1.24, 1.06)  0.2095
H (1.69, 0.06, -0.25)  0.2087
H (0.92, -0.19, -1.66)  0.2140

Energies relative to the most stable structure, in eV: A 5.968; B 0.000.

A | C4H3O2S | the ωB97M-V functional and the def2-TZVPD basis

As for the highest occupied orbital energy: -3.392 eV. As for the SMILES: C=CC(=O)C([O-])=S. The value obtained for the LUMO energy is 3.418 eV. As for the frontier orbital gap: 6.81 eV. As for the total charge: -1.

Last column: natural (NBO) charge in e.
Element x y z (Å)
C (0.02, -0.36, 0.72)  -0.4685
C (1.20, -0.78, 0.19)  -0.2608
C (2.11, -0.26, -1.03)  0.4642
O (2.14, -0.77, -2.15)  -0.5254
C (3.09, 0.54, -0.36)  0.2053
O (3.92, 1.28, -1.01)  -0.6145
S (3.27, 0.32, 1.39)  -0.3637
H (-0.69, -0.96, 1.33)  0.1773
H (-0.47, 0.61, 0.70)  0.1769
H (1.13, -2.02, 0.04)  0.2091

B | C4H3O2S | the ωB97M-V functional and the def2-TZVPD basis

As for the highest occupied orbital energy: -2.217 eV. As for the SMILES: [O-]/C(O)=C/C=C=S. The value obtained for the LUMO energy is 3.358 eV. As for the frontier orbital gap: 5.57 eV. As for the total charge: -1.

Last column: natural (NBO) charge in e.
Element x y z (Å)
O (-1.69, -1.63, 1.18)  -0.7348
C (-0.87, -0.79, 0.70)  0.6745
O (-0.10, -0.18, 1.66)  -0.7305
C (-0.40, -0.67, -0.62)  -0.5519
C (0.57, 0.14, -1.12)  -0.3509
C (1.11, 1.10, -0.37)  -0.0740
S (1.68, 2.48, 0.27)  -0.1344
H (-0.28, 0.76, 1.67)  0.4731
H (-0.98, -1.26, -1.30)  0.1987
H (0.96, 0.05, -2.07)  0.2303

Energies relative to the most stable structure, in eV: A 0.243; B 0.000.

A | C2H4N4O2S | the ωB97M-V functional and the def2-TZVPD basis

As for the highest occupied orbital energy: -10.028 eV. As for the SMILES: c1cn[nH]n1.N=S(=O)=O. The value obtained for the LUMO energy is -0.450 eV. As for the frontier orbital gap: 9.58 eV.

Last column: natural (NBO) charge in e.
Element x y z (Å)
C (-2.59, -0.57, -0.64)  -0.1206
C (-2.23, -0.12, 0.64)  -0.0999
N (-0.91, 0.05, 0.72)  -0.2718
........
Wrapping her fingers around her cup, Lisbon sank onto one end of the sofa whilst Jane took the other. It looked like he'd been sleeping in his shirt and slacks, since his jacket and vest were neatly hung up behind the front door and his shirt had a well rumpled look.
"S'Okay." Teresa lifted the cup and inhaled the fresh scent before taking a sip. "Wasn't sure what it was so I had to check."
"Of course. Cop instincts, I know. I… err… I threw off the blanket but it caught the edge of your photo frame, which clattered against the table on the way down." He gestured towards said frame. "No harm done."
Teresa squirmed a little, burrowing back into the cushions. Jane looked almost relaxed but his pallor and the grey bruises beneath his eyes gave witness to his insomnia. It seemed a bit mean to re-open the discussion from the car but there were still things to talk through and this was the best chance she was gonna get. Swallowing one more mouthful of tea for luck, she turned to him.
"Did you get any sleep? I mean, if you want to talk…"
Jane glanced at her, the edges of his mouth curving upwards in spite of himself, before looking straight ahead and shaking his head. He turned back to her, assuming his best gentle mockery pose.
"Mother Teresa, I'm fine. Please stop worrying."
Lisbon reached over to put her cup down on the table, before turning to face Jane, one foot drawn up underneath her.
"Are you? I mean… I was thinking about what you said earlier. About being unable to walk away because the stakes were too high? How you needed Lorelei?"
"Mmm-hmm." Jane carefully interlaced his fingers in his lap. Was this a conscious effort to prevent himself from twiddling with his wedding ring?
"So, what now?"
Jane reached up with one hand, running it through his curls, whilst the other smoothed down his wrinkled pant leg.
"Look, Lisbon. It's OK. I've had a couple of weeks to get used to the idea that Lorelei was a dead woman walking. And she betrayed me. That's not something that I can ever forgive her for.
"But, in a way, she did help me. As you know, she told me that I've met Red John. Shaken hands with him. I can work with that. It does take me forward.
"And then there's the other thing tonight showed clearly… If she couldn't get to Red John, knowing him so well, I stand no chance if I turn vigilante. I'm not going to go after him alone now. I promise you that."
Lisbon felt her spirits rise like maple sap in the Spring. Alleluia! Her prayers were being answered. She couldn't stop the grin that broke on her face so she reached over and punched Jane on the arm, trying to deflect his attention.
"So no more vanishing or running off? I can rely on you to stick with me and the team?"
"Ouch, woman." Jane rubbed his upper arm like she really had hurt him. "What's with you and the aggression? Like I said, I'm sticking around. And, if it comes down to it, I can live with not killing Red John myself. If you or one of the guys take him down then that's good enough for me. And I trust you to do that."
Jumping to her feet, Lisbon stared down at him.
"Jane! That's pre-meditated murder.
"Yes, I am thankful that you're less focussed on doing Red John harm when we catch him, but you can't assume that either me or one of the team will kill him. If there is a due cause – for instance danger to life – then sure. One of us would take him down as we would any criminal. But… if he poses no threat, then, in accordance with the law, we will arrest him. And that is my final word on the matter."
Jane took her hand and guided her back to the couch.
"I hear ya. But I am going to console myself with the thought that Red John is unlikely to come quietly, so everything should work out in the end.
"And Lisbon, I mean it when I say I'm sorry for how I treated you and the team. You are the only good things in my life and I took you all for granted."
"Hush." Lisbon rubbed gently across the ball of his thumb. "It's OK. You made peace with Cho and Rigsby and the team is functioning again. Van Pelt will probably never hear the full story anyway. And as for me? I forgive you. For an intelligent man, you can be a complete jackass, but it's part and parcel of who you are, and I accept that. As long as you mean what you say – that you're not going all 'Lone Ranger' again – then that's good enough for me."
Dragging her back to her feet, Jane enveloped Lisbon in a bear-hug.
"Oh, my dear, you've no idea what that means to me."
After a few moments, Lisbon broke free of the embrace. By this point, it threatened to evolve from friendly into something else entirely. Dropping back to the sofa, she grabbed her tea and took a mouthful. Jane grabbed his own cup, mirroring her movements. Then he turned back to her.
"So, Long Beach eh? Why did you all head down there? It wasn't like you went round the Queen Mary and anything else you could have found nearer, I'm sure."
Lisbon let her head drop back into the cushions as the warm memories flooded through. It had been a good weekend. Something that she really should do more often.
Jane watched her, an answering smile on his face.
"So why didn't you do the Queen Mary? With all those old movies that you like, you'd have loved it. Prancing down the promenade pretending to be Vivien Leigh. Or Mae West, if you prefer?"
Lisbon just laughed. "Nah. Not Tommy's kind of thing. Or Annie's for that matter."
"But you." Jane peered at her earnestly. "You'd have loved it."
He paused for a second, as she shook her head, before continuing. "Yep, there it is. I can see it. You can't hide from me, you know."
Laughing, Lisbon got to her feet, gathering the two cups and saucers to take back to the kitchen. Jane followed her, leaning on the door jamb as she placed the crockery in the sink.
"If we ever get through this Teresa – if there's a life after Red John is dead – I'll take you there one day. You can pretend I'm Clark Gable or Humphrey Bogart."
She turned, leaning back against the sink and eyeing his curls critically.
"Nah, you've not got the looks. At least, not without a lot of hair dye and Brylcream."
Jane just beamed at her. "Anything for you, my dear. Anything for you."
### Inserted here: molecular data
=====
(1)
Entry from the OMol25 dataset: a molecular structure, Ag3Cl in a non-equilibrium geometry (ωB97M-V with the def2-TZVPD basis set).

Output
Orbital gap   9.6 eV
Molecular weight   359.06 g/mol
E   -900.4010 hartree
LUMO   -9.967 eV
ΔE to the lowest compared entry with this formula, charge and spin   2.0 kcal per mole

Geometry as ORCA input:
```
! RIJCOSX wB97M-V def2-TZVPD def2/J DEFGRID3
* xyz 2 1
Ag -0.5569 -0.9685 -1.9244
Ag -1.7270 -0.1537 1.7239
Ag 1.6262 1.7274 -0.2915
Cl 0.6577 -0.6052 0.4920
*
```

Okay, here come the Löwdin numbers, in e, for every atom: Ag 0.7340; Ag 0.7461; Ag 0.7181; Cl -0.1981



(2)
Entry from the OMol25 dataset: a molecular structure, AgClCu (ωB97M-V with the def2-TZVPD basis set).

Output
Orbital gap (spin up / spin down)   8.7 / 7.7 eV
Molecular weight   206.87 g/mol
E   -2246.7987 hartree
LUMO (spin up / spin down)   -10.382 / -10.953 eV
ΔE to the lowest compared entry with this formula, charge and spin   0.0 kcal per mole

Geometry as ORCA input:
```
! RIJCOSX wB97M-V def2-TZVPD def2/J DEFGRID3
* xyz 2 2
Ag 0.8247 0.8102 3.1246
Cu -1.5361 -2.2582 -2.1314
Cl 0.7114 1.4480 -0.9933
*
```

Okay, here come the Löwdin numbers, in e, for every atom: Ag 0.9782; Cu 0.9871; Cl 0.0347



(3)
Entry from the OMol25 dataset: a molecular structure, AgClZn in a non-equilibrium geometry (ωB97M-V with the def2-TZVPD basis set).

Output
Orbital gap   4.1 eV
Molecular weight   208.71 g/mol
E   -2385.5871 hartree
LUMO   -13.165 eV
ΔE to the lowest compared entry with this formula, charge and spin   83.3 kcal per mole

Geometry as ORCA input:
```
! RIJCOSX wB97M-V def2-TZVPD def2/J DEFGRID3
* xyz 2 1
Zn 1.7448 -0.3025 -3.9821
Ag -2.0014 -0.0774 4.1817
Cl 0.2566 0.3799 -0.1996
*
```

Okay, here come the Löwdin numbers, in e, for every atom: Zn 1.0850; Ag 0.9983; Cl -0.0833



(4)
Entry from the OMol25 dataset: a molecular structure, AlClO4S4 in a non-equilibrium geometry (ωB97M-V with the def2-TZVPD basis set).

Output
Orbital gap   6.9 eV
Molecular weight   254.70 g/mol
E   -2596.2187 hartree
LUMO   -1.529 eV

Geometry as ORCA input:
```
! RIJCOSX wB97M-V def2-TZVPD def2/J DEFGRID3
* xyz 0 1
Al 0.0259 0.2203 -0.6587
S -2.2087 1.7493 0.5300
S -3.3628 0.4234 -0.4889
S -2.0881 -0.4222 -2.0200
S -0.9011 -1.7564 -1.1093
O 3.4029 0.1294 1.6127
Cl 2.0586 -0.4384 1.3292
O 2.0521 -1.8640 0.9898
O 1.6915 0.2530 -0.1473
O -0.6702 1.7055 -0.0375
*
```

Löwdin atomic charge list, values in e, 6 entries: Al -0.1127; S 0.4559; S 0.1086; S 0.0976; S 0.2986; O -0.3918



(5)
Entry from the OMol25 dataset: a molecular structure, AlN3O9 in a non-equilibrium geometry (ωB97M-V with the def2-TZVPD basis set).

Output
Orbital gap (spin up / spin down)   7.8 / 7.6 eV
Molecular weight   212.99 g/mol
E   -1082.9675 hartree
LUMO (spin up / spin down)   -8.121 / -8.279 eV

Geometry as ORCA input:
```
! RIJCOSX wB97M-V def2-TZVPD def2/J DEFGRID3
* xyz 1 2
Al -0.3332 0.3630 -1.3596
N -4.3446 1.0600 -1.6769
O -4.8050 1.2645 -2.7593
O -5.0657 0.9694 -0.6926
=====
Grabbing a glass of water, Teresa became serious again.
"If you're sure that you're alright…"
"I am."
Jane wandered back to the couch whilst Lisbon killed the kitchen light and made her way to the stairs.
"Goodnight then. Try to get some sleep."
Jane pulled the blanket over him as he threw himself flat on the couch. "You too."
Returning to her bed, Lisbon promptly fell asleep, not stirring until the alarm clock blared its 6.30am warning. Waking, she felt refreshed, despite the broken sleep. For the first time since before Jane had pulled that stupid Vegas stunt, she was collected and in control. It was going to be a good day. She could feel it.
Three and a half weeks' later.
Lisbon stood in front of Bertram's desk. "You wanted to see me sir?"
_These records of molecules were left in the text by mistake_
11
Properties=species:S:1:pos:R:3:lowdin_charge:R:1 method="wB97M-V/def2-TZVPD" e_lumo_ev=-0.1 charge=0 homo_energy_ha=-0.3537 orbital_gap_ev=9.52 relative_energy_kcal_mol=151.9 smiles="O=CN1C=NOC=N1" spin_multiplicity=1
C 1.75927 0.19221 0.02804 -0.343
C -0.24346 1.08383 -0.04947 -0.182
C -1.41766 -1.37272 -0.06012 -0.055
H 2.18267 1.35035 0.52731 0.207
H 0.20022 2.05026 -0.04277 0.127
H -1.94144 -2.20294 0.16991 0.096
N 0.53301 0.03102 -0.20036 -0.060
N -1.49721 0.98781 -0.02662 0.071
N -0.10590 -1.30806 0.12847 0.202
O 2.70855 -0.62241 -0.23608 -0.015
O -2.17804 -0.18935 -0.23831 -0.049

=====

92
Properties=species:S:1:pos:R:3:lowdin_charge:R:1 method="wB97M-V/def2-TZVPD" e_lumo_ev=-6.5 charge=+2 s_squared=2.00 homo_energy_ha=-0.4894 orbital_gap_ev=6.81 spin_multiplicity=3
Ba -1.23579 2.05489 -3.21503 2.067
V -1.09840 -1.26456 -2.14992 0.950
O -1.83603 0.03818 -1.18346 -0.408
H -2.25630 0.28058 -0.28126 0.123
O -1.75509 -0.39471 -3.42860 -0.560
H -1.84197 -0.43085 -4.43836 0.111
O -2.32626 -2.70776 -2.10070 -0.251
H -2.02790 -3.44607 -1.51415 0.032
C 4.62834 -4.96404 1.79604 -0.103
O 4.60041 -4.05080 2.93053 -0.137
H 3.78338 -4.80849 1.15580 0.063
H 5.51762 -4.71726 1.07631 0.116
H 4.72061 -5.96346 2.13181 0.066
H 5.30541 -4.27133 3.54229 0.095
C 0.62890 4.84982 1.03492 -0.078
O -0.52527 5.38754 0.28772 -0.150
H 0.35951 4.39020 1.94543 0.073
H 1.14964 4.07533 0.47035 0.035
H 1.31442 5.70609 1.24593 0.111
H -0.77221 6.17402 0.78072 0.084
C -4.07969 4.29676 -4.24557 -0.032
O -3.34369 2.98620 -4.51945 -0.374
H -4.71062 4.41983 -5.10362 0.092
H -4.67916 4.28759 -3.34250 0.079
H -3.33734 5.06599 -4.17149 0.063
H -4.07415 2.30285 -4.51172 0.111
C -1.54694 -2.49946 0.91894 -0.054
O -0.56022 -2.27910 -0.11619 -0.193
H -2.08923 -1.56039 0.92566 0.081
H -2.17704 -3.35367 0.74411 0.054
H -0.97883 -2.74961 1.80992 0.090
H 0.31925 -2.55298 0.14961 0.107
C 1.55207 -2.97748 3.36312 -0.218
O 2.34804 -2.64390 2.30328 -0.099
H 2.02730 -2.94345 4.39187 0.103
H 0.70292 -2.28870 3.43494 0.061
H 1.04157 -3.93897 3.33357 0.068
H 3.09272 -3.22892 2.43328 0.008
C 3.84362 1.71332 -3.30748 -0.149
O 2.90245 0.99338 -2.48403 -0.102
H 4.64599 1.05844 -3.59076 0.063
H 3.29941 2.03853 -4.14896 0.031
H 4.19467 2.60417 -2.70317 0.100
H 2.89718 0.17385 -2.76826 -0.003
C -0.62097 5.97156 -5.14509 -0.072
O -1.13949 4.62563 -5.38287 -0.178
H -1.37303 6.73695 -4.98180 0.095
H 0.07223 5.84664 -4.34462 0.050
H -0.05205 6.25760 -6.01607 0.095
H -1.36825 4.48951 -6.29535 0.079
C -1.37103 -5.58436 6.96027 -0.148
O -2.10339 -5.71809 5.71985 -0.169
H -1.80986 -4.83328 7.59966 0.069
H -1.21552 -6.56274 7.43111 0.082
H -0.42127 -5.16519 6.55906 0.081
H -3.01406 -6.00212 5.98452 0.088
C 2.92596 2.19408 0.47949 -0.148
O 1.80639 2.06132 -0.30312 -0.139
H 3.09643 3.29132 0.63188 0.098
H 2.72937 1.83973 1.39216 0.037
H 3.77094 1.82965 -0.02944 0.078
H 2.10202 1.48338 -1.00812 0.017
C -1.10356 -5.91425 0.36535 -0.157
O -0.14190 -5.69270 1.38048 -0.127
H -1.82323 -5.03476 0.25093 0.057
Bertram leaned back in his seat, considering her.
"Do sit down Agent."
As she complied, he picked up his pen, tapping it on the edge of the desk as he composed himself.
"So, Lisbon, you must be wondering why I've summoned you here today."
"He paused for a microsecond to allow the rhetorical question to hang in the air.
"It's like this.
"As you know, I have been liasing with Bob Kirkland from Homeland Security, and he took on the Lorelei Martins and Red John cases after some concerns which he and I shared."
"Sir." Lisbon kept her eyes downcast, trying not to shiver as she remembered her last visit to this office.
"To cut a long story short, Lisbon, Bob has been through your team's work on the Red John case and has examined it in fine detail. Apart from the whole sordid Martins' business, now concluded owing to her untimely demise, Kirkland has assured me that there is nothing in the files which raises any flags for him or Homeland Security. Yes, some of the methods are unorthodox, we all know that, but there are no longer any concerns over National Security.
"And, with Ms Martins out of the picture, Jane is once more proving himself a valued member of the team and you are controlling him effectively."
Lisbon glanced up but quickly resumed her downward gaze.
"So, Agent. Now that van Pelt has returned from her course, and the team is once more at full strength, it is my pleasure to hand this back to you."
He picked up a stuffed brown folder from his in-tray and past it over to Lisbon.
"The Red John case is back under your jurisdiction. I trust that you will do nothing to make me regret my decision."
"Ah, no sir. No." Lisbon hated the stammer she could hear in her voice but nothing she could do about it.
"In that case, Agent Lisbon, you are dismissed. Good day to you."
Bertram picked up the phone to call his PA, ignoring Lisbon as she stood and scurried out of his office.
At this point, she wasn't sure whether she wanted the Red John files back or not, but she knew that it would be a boost for the team. A vote of confidence. And as for Jane, well no surprise how he was going to react. She'd best get back to the CBI as fast as possible.
At least it proved one thing. The SCU were the best. Better than the other CBI departments – not only on case closed record – and better than Homeland Security. This was their bag and they were the people to deal with it.
Cho, Rigsby, van Pelt and Jane. Her talented and dedicated team. It was time for a celebration.